Original Link: https://www.anandtech.com/show/2753
What's this "Cloud Computing" all about, really?
There's a lot of speculation (not to mention misconceptions) flying around about VMware's recent move towards the "Cloud". Critics believe it to be absolute rubbish, a step back to the age of the mainframe, warning us of the dangers of centralized data storage and the security/availability issues that might bring about. "Only your own PC is safe enough for your data." Proponents counter these arguments by quoting the numerous applications that people use that basically require no more than a dumb terminal anyway. For example, our readers wouldn't technically need a monster PC to read our articles and their emails; just a thin client with web access would suffice.
We believe these arguments, though undoubtedly relevant with regards to personal computing, largely miss the point of what the Cloud Computing movement is looking to achieve, and with the announcement of VMware's vSphere, we would like to take some time out to clarify just what Cloud Computing is all about. VMware's press release on this hits the nail on the head quite nicely, in fact, arguing that the main problem in companies' IT infrastructure today is their high infrastructure maintenance costs. Add to this the rapidly widening gap between hardware development and the software that is actually being used in companies, and many data centers end up awfully bloated, even though only a fracture of their capacity is being used.

The irony here is that in many cases, this situation tends to actually be more expensive in the long run when factoring in the costs required to keep a data center running (think about electricity, renting rack space, etc.) However, companies do not like being forced to make a switch, in part explaining the large success found by virtualization in companies that simply want to keep on using the same old software, but in a more efficient manner.
Virtualization, as documented in many articles over the past year, provides a pretty solid answer to this, and is actually the core technology at the base of the Cloud Infrastructure. Its evolution from consolidation tool to fully-fledged dynamic data center management enabler has paved the way for an even bigger jump forward: IT as a Service.
Virtualization has grown to the point where we can reduce a data center to one big resource pool, with the virtual machines more or less floating on top, blissfully unaware of where their actual resources come from. IT as a Service aims to make it possible to extend this internal company resource pool (conveniently nicknamed the "internal cloud" from now on) reliably with resources obtained in much the same way as electricity, or a phone line. The idea is pay as you go, pay for what you use, always available and reliable, and with a large choice of service providers (from here on referred to as the "external cloud"). This is what VMware vSphere 4 will be able to provide.
So what is VMware releasing?
While vSphere 4 is technically an upgrade to the existing VMware Infrastructure (the latest version being ESX 3.5), they are now opening up the product to allow management of both the internal and external clouds. This allows users to extend the existing company infrastructure with that of IT service providers all over the world. (Here is a list of providers that are currently ready to offer these services.)
VMware is looking to merge these two worlds with vSphere, but while still acknowledging the key differences between the two: Internal company clouds should be deployed in a non-disruptive, evolutionary way. Any data center that has already been virtualized should be able to move to the cloud without a glitch, and it should remain as trusted, reliable, and secure as expected from an internal infrastructure.
External clouds are to be put to work for extra capacity, and quite possibly high availability and disaster recovery as well. Migrating VMs from the internal to the external cloud should work seamlessly through Storage VMotion (we believe this should work, provided that the VM is on a LUN by itself).Think of this environment as a large-scale VPN, independent of your own infrastructure, which is paid for not in terms of infrastructure costs, but per unit of actual work completed. This environment can be as large or small as is required at the time, and should add a lot of flexibility to existing data centers in an efficient way.

vSphere is truly meant to be the very first "Cloud-OS", a system that can break up separate hardware platforms into what they offer in terms of resources, and use these resources as building blocks for what is, essentially, a supercomputer that encompasses the entire virtualized data center and beyond. VMware aims to make vSphere compatible with any existing or future applications and maintain strict security, even in the external cloud, while keeping the technology as non-intrusive as possible. Ideally, there should be no lock into specific service providers, or locks into irreversible decisions. As long as a company's intent is not to make their entire infrastructure irreversibly dependent on the external cloud, it should always be able to fall back on its internal infrastructure.
vSphere, a feature overview
The software is based on three basic pillars, combined by a single slogan:
"Cut capital and operational costs over 50% for all applications (Efficiency) while automating quality of service (Control) and remaining independent of hardware, operating system, application stack, and service providers (Choice)."
As the efficiency claims will provide quite a challenge for VMware to overcome, let's have a look at the actual changes they have made to their existing software to achieve this goal.

This image depicts the general layout for vSphere: solidifying the Efficiency and Control pillars into three separate parts each: vCompute, vStorage, and vNetwork for Efficiency; Availability, Security, and Scalability for Control.
Until recently, the VMware Infrastructure Efficiency front was largely defined by three of its main features: CPU/Memory Optimization, Dynamic Resource Scheduling, and the VMFS. Each of these was able to provide a boost to performance by taking advantage of the entire virtual infrastructure. Through the combined improvements to vCompute, vStorage and vNetwork, VMware predicts a 30% increased consolidation ratio compared to the last version of VMware Infrastructure. We asked VMware about this, and heard the results were measured by using their very own VMmark, comparing ESX 3.5 and 4.0 on the same hardware platform. We believe the results to be generally realistic, but they should still be taken with a grain of salt.
Furthermore, VMware promises 50% more storage savings, thanks to vStorage Thin Provisioning and up to 20% additional power and cooling savings, thanks to Distributed Power Management that allows the data center to automatically VMotion VMs to as few physical machines as possible, allowing users to power down physical servers that are not needed at the moment.
Besides this, vSphere will offer more powerful virtual machines than before, allowing for:
- 8 vCPUs per VM (up from 4)
- 10 virtual NICs per VM
- up to 255GB RAM per VM
- 3 times more network throughput
- a little over 200,000 IOPS maximum
When it comes out, a single vSphere deployment will be able to manage the following resources:
- 32 physical servers with up to 2048 cores
- 1280 virtual machines
- 32TB of RAM
- 16PB (petabytes - 1000TB) of storage
- 8000 network ports
Keep in mind that it will be possible to cluster up to 10 vCenter Servers (vSphere's main management component).
On the Control side of things, vSphere makes managing this large amount of resources easy through the use of Host Profiles and the vNetwork Distributed Switch, which allows for comprehensive networking between all these virtual machines to be configured just as easily as in a "regular" data center. In fact, the Switch can actually be plugged into by vendors such as Cisco, so it can be configured in exactly the same way as a regular Cisco switch.
As mentioned before in one of our blogs, one-click configurable Fault Tolerance should keep important VMs safe from unexpected hardware failures, and storage-maintenance related downtime should be further minimized by introducing a feature called Storage VMotion. Remember the currently documented limitations of Fault Tolerance, however. It's High Availability, but only on the hardware-level, and will not account for software failures. Also, at this point, Fault Tolerance is limited to VMs with only a single vCPU, so although it's a very interesting feature, it leaves a lot of room for improvement.
Data Recovery is another nice little tidbit, which will essentially plug into your vSphere as a virtual appliance with a single purpose: one-click backup of any virtual machine, answering the first question asked by quite a few companies getting started with virtualization.
Lastly, vShield Zones is a self-learning, self-configuring firewall service, allowing users to set security policies to overall environments, enforcing the rules on an application level, and allowing them to travel along with the VM as it VMotions across the (internal or external) cloud.
For vSphere's last main pillar, VMware likes Choice (as long as they are included in whichever choice you end up making, naturally), and for that reason they proudly hold the claim that they are able to support any kind of server, any kind of storage, any kind of OS, any application, be they on premise or off premise. In the picture below, they compare their own supported OS list to that of Hyper-V.

On top of that, VMware has partnered up with several service providers (as linked before) to properly kick off their external cloud services with a large team of reliable players.
vSphere Pricing favors hex-cores
On to the interesting part: pricing. Once again, VMware has thoroughly scrambled their existing pricing scheme with some very interesting entry points.

Records of crystals, as found in the file.
=====
1.
# KNa4Cl5

Crystalline KNa4Cl5 at its relaxed geometry (PBE-GGA, Materials Project).

```
10
Lattice="-9.1685 9.3184 -10.9885 -11.8869 6.2581 -10.5441 -11.8751 9.4032 -7.8869" Properties=species:S:1:pos:R:3 pbc="T T T"
K 0.0000 0.0000 0.0000
Na -19.6342 14.8937 -17.5408
Na -6.5606 4.9766 -5.8611
Na -26.3700 20.0032 -23.5584
Na -13.2964 10.0861 -11.8787
Cl -23.2331 17.6236 -20.7559
Cl -16.4653 12.4899 -14.7098
Cl -3.3650 2.5525 -3.0062
Cl -9.6975 7.3561 -8.6636
Cl -29.5656 22.4272 -26.4133
```

Summary:
Formation enthalpy at 0 K ... -2126.9 meV/atom
SG ... R-3m (166)
E (MP2020) ... -3.6913 eV/atom
Energy above the most stable polymorph in this dataset ... 0 meV/atom
Total DFT energy (no corrections) ... -33.8 eV/f.u.

---

2.
# K4NaCl5

Crystalline K4NaCl5 at its relaxed geometry (PBE-GGA, Materials Project).

```
10
Lattice="3.9999 -3.0844 -5.7579 6.7555 -0.4129 -3.5857 6.4579 -8.4375 2.1844" Properties=species:S:1:pos:R:3 pbc="T T T"
K 10.3489 -7.1790 -4.2997
K 3.4142 -2.3490 -1.4424
K 13.7991 -9.5858 -5.7168
K 6.8644 -4.7558 -2.8595
Na 0.0000 0.0000 0.0000
Cl 3.2289 -4.2187 1.0922
Cl 6.9500 -2.8386 -5.3259
Cl 6.6754 -6.6891 -0.2418
Cl 10.5379 -5.2456 -6.9174
Cl 10.2633 -9.0961 -1.8333
```

Summary:
Formation enthalpy at 0 K ... -2213.6 meV/atom
SG ... C2/m (12)
E (MP2020) ... -3.7143 eV/atom
Energy above the most stable polymorph in this dataset ... 3 meV/atom
Total DFT energy (no corrections) ... -34.1 eV/f.u.

---

3.
# KNa4Cl5

Crystalline KNa4Cl5 at its relaxed geometry (PBE-GGA, Materials Project).

```
10
Lattice="-2.0834 2.0834 14.5132 2.0834 -2.0834 14.5132 2.0834 2.0834 -14.5132" Properties=species:S:1:pos:R:3 pbc="T T T"
K 0.0000 0.0000 0.0000
Na 0.0000 0.0000 11.5205
Na 0.0000 0.0000 23.1717
Na 0.0000 0.0000 5.8547
Na 0.0000 0.0000 17.5059
Cl 0.0000 0.0000 3.0599
Cl 0.0000 0.0000 14.5132
Cl 0.0000 0.0000 25.9664
Cl 0.0000 0.0000 8.6884
Cl 0.0000 0.0000 20.3380
```

Summary:
Formation enthalpy at 0 K ... -2111.8 meV/atom
SG ... I4/mmm (139)
E (MP2020) ... -3.6761 eV/atom
Energy above the most stable polymorph in this dataset ... 15 meV/atom
Total DFT energy (no corrections) ... -33.7 eV/f.u.

---

4.
# K2NaS2ClO6

Crystalline K2NaS2ClO6 at its relaxed geometry (PBE-GGA, Materials Project).

```
48
Lattice="-1.2504 -9.9929 -7.1004 12.0602 0.2762 -2.5125 1.0109 -3.3155 4.4881" Properties=species:S:1:pos:R:3 pbc="T T T"
K 3.4355 -2.0843 1.1443
K 4.9122 -8.9735 -4.2775
K 2.9803 -6.0895 -1.4626
K 8.3500 -10.8325 -6.4252
K 6.8734 -3.9434 -1.0034
K 11.6026 -3.9543 -1.8274
K 8.8756 -7.0580 -3.5060
K 0.2533 -9.1933 -3.1412
Na 0.3324 -8.1369 0.7011
Na 0.0000 0.0000 0.0000
Na 6.0834 -0.0369 -1.0194
Na 5.4049 -4.8584 -4.8064
S 9.1786 -7.4357 -7.3849
S 2.3217 -6.6278 -5.2436
S 2.8437 -11.5390 -2.1751
S 4.7351 -5.7304 1.6898
S 8.0470 -10.4549 -2.5463
S 1.6807 -2.4434 -2.0081
S 8.5376 -3.2514 -4.1495
S 9.9384 -4.6463 1.3186
Cl -0.1819 -6.4502 -1.5822
Cl 0.5055 -1.6577 2.2440
Cl 6.5977 -1.7236 1.2639
Cl 5.9104 -6.5161 -2.5624
=====

VMware's own calculations are apparently off in the essentials package, as the actual minimum price is at $166/CPU.
The existing Foundation package is split up into two entry-level packages. These are limited to three servers in total, and will not be able to scale beyond that point, but otherwise roughly translate to a slightly less than full-featured Standard version (no High Availability), and a slightly less than full-featured Advanced version (including Data Recovery, but not including Fault Tolerance and VMotion). A very nice feature comparison of the different versions can be found here.
Interesting to note, however, is that in Essentials, Essentials Plus and Standard, the limit to six physical cores per CPU from VMware Infrastructure 3 is apparently not lifted. Currently, that means that hex-cores will quite possibly be the more favorable CPUs to use in this bracket, leaving the door open for Istanbul to potentially get the most out of these configurations. Though the press release reads "physical" cores quite literally, we cannot help but wonder whether Nehalem's Hyper-Threading is included in that. If that is the case, the most optimal platform might just be Intel after all, though this is something that we'd like official confirmation on.
For the Advanced and Enterprise Plus packages, the maximum number of physical cores per CPU is upped to 12, putting the future 8-core Beckton and 12-core Magny-Cours (both scheduled for release in 2010) in direct competition with each other in these price brackets.